<<<
Density functional theory data (ωB97M-V/def2-TZVPD) for 9 unconnected molecules or ions with the total composition C22H54O13S7 at a distorted geometry.

Computed properties:
relative energy (zero: lowest compared OMol25 entry of this formula, charge and spin): 76.61 kcal/mol
lowest unoccupied orbital energy: -0.2 eV
E_HOMO: -0.31951 Eh
2S+1: 1
Kohn-Sham gap: 8.5 eV

The geometry in XYZ format:
```
96
Properties=species:S:1:pos:R:3:forces:R:3
C -4.268 0.579 3.126 -0.7 1.6 -0.1
C -3.392 1.616 2.377 1.9 -2.5 1.4
C -2.107 1.037 1.711 -0.2 -1.0 1.1
O -2.019 1.761 0.507 -0.4 0.5 -0.6
C -3.254 2.237 0.254 -1.5 2.1 -4.4
O -3.637 2.745 -0.818 1.7 -1.7 3.1
O -4.075 2.124 1.285 -0.7 0.5 -0.2
H -4.967 1.221 3.661 -0.2 -0.2 0.4
H -3.799 -0.053 3.880 0.4 0.1 -0.4
H -4.928 0.030 2.454 0.5 -0.3 -0.2
H -3.037 2.397 3.050 -0.5 0.4 0.1
H -2.205 -0.028 1.500 -0.3 0.0 -0.3
H -1.175 1.102 2.272 -0.1 0.6 0.1
C 0.340 -1.327 0.983 0.8 -0.1 1.3
C 0.548 -0.425 -0.218 -1.4 -1.6 2.9
C 1.692 -0.795 -1.048 0.6 1.5 0.4
O 1.148 -0.336 -2.279 1.0 0.5 -2.2
C -0.197 -0.438 -2.286 0.1 -1.3 -1.0
O -0.888 -0.427 -3.289 0.9 0.4 2.1
O -0.540 -0.735 -1.019 -3.0 0.2 -2.5
H -0.012 -0.788 1.862 0.0 -0.1 -0.1
H 1.268 -1.827 1.261 0.1 0.4 0.1
H -0.313 -2.182 0.809 -0.4 0.4 -0.5
H 0.443 0.641 -0.015 0.7 0.0 0.3
H 2.012 -1.836 -1.090 -0.3 -0.1 0.0
H 2.482 -0.165 -0.638 0.7 -0.1 -0.9
C -4.680 -0.474 -1.784 -0.4 0.3 -0.9
S -4.420 -1.099 -0.084 -2.4 -1.4 -0.7
O -5.801 -1.568 0.432 2.2 1.0 -0.6
C -3.532 -2.672 -0.484 -0.3 1.1 -0.2
H -5.284 -1.078 -2.461 0.1 -0.9 0.5
H -3.770 -0.252 -2.342 0.5 -0.1 0.5
H -5.265 0.446 -1.818 0.2 0.3 0.9
H -2.757 -2.447 -1.217 0.3 0.1 0.3
H -4.211 -3.392 -0.940 -0.2 0.1 0.4
H -3.148 -2.975 0.490 0.1 -0.3 -0.3
C 7.026 1.502 0.398 0.2 -0.4 0.1
S 5.183 1.362 0.348 -0.7 -1.4 0.3
O 4.819 -0.128 0.066 0.9 2.7 0.8
C 4.918 1.652 2.179 0.4 0.1 0.2
H 7.444 0.956 -0.448 -0.4 -0.8 0.3
H 7.332 1.140 1.380 0.2 -0.4 -0.3
H 7.546 2.445 0.233 -1.0 0.7 0.3
H 5.454 0.883 2.735 0.0 -0.2 -0.2
H 3.894 1.698 2.551 -0.3 -0.7 -0.9
H 5.266 2.616 2.551 0.7 0.2 -0.7
C -2.683 0.237 -5.794 -0.1 0.2 0.5
S -2.907 -1.447 -6.559 1.4 1.1 -2.2
O -2.413 -1.334 -8.017 -0.8 -0.2 2.4
C -1.608 -2.340 -5.603 -0.9 0.7 -0.2
H -1.646 0.490 -5.574 0.0 -0.4 -0.1
H -3.269 0.331 -4.879 0.2 -0.6 0.4
H -3.100 1.083 -6.342 0.0 -0.6 -1.0
H -2.058 -2.338 -4.611 0.4 -0.2 0.2
H -0.650 -1.820 -5.627 -0.2 0.0 0.0
H -1.552 -3.347 -6.015 0.0 0.1 0.0
C 1.517 3.419 -2.364 0.2 -0.2 -0.2
S 0.603 4.353 -3.654 0.7 1.3 1.4
O 0.283 5.658 -2.918 0.0 -1.5 -1.0
C -0.898 3.361 -3.634 0.7 -0.2 0.5
H 2.249 4.057 -1.868 -0.2 0.5 -0.3
H 2.110 2.602 -2.774 -0.4 -0.3 -0.2
H 0.819 3.076 -1.600 -0.1 -0.2 -0.1
H -1.247 3.560 -2.621 -0.9 0.2 -0.3
H -0.686 2.292 -3.657 0.3 0.0 -0.3
H -1.497 3.647 -4.499 -0.3 0.1 0.5
C 2.103 -0.474 3.927 0.4 -0.8 -0.1
S 3.643 -1.543 3.922 0.2 -0.8 0.0
O 3.593 -2.593 4.994 -0.4 1.0 0.0
C 3.417 -2.554 2.430 -0.7 1.2 -0.1
H 1.944 0.094 3.010 0.4 -0.2 -0.2
H 2.266 0.256 4.719 -0.1 -0.3 0.2
H 1.235 -1.111 4.096 0.0 0.0 0.3
H 3.296 -1.825 1.630 0.3 -0.2 -0.4
H 2.493 -3.123 2.536 0.2 -0.2 0.2
H 4.286 -3.190 2.263 -0.1 0.2 0.3
C 1.367 3.598 3.661 0.2 0.1 -0.1
S 1.834 3.378 1.865 -2.0 -1.0 0.7
O 1.380 1.931 1.640 0.6 1.3 -0.2
C 0.502 4.454 1.125 -0.3 -0.3 0.5
H 1.775 2.781 4.256 0.6 -0.2 -0.5
H 0.302 3.491 3.869 -0.2 0.4 -0.7
H 1.763 4.521 4.083 -0.1 0.1 -0.2
H -0.449 3.949 1.295 0.1 -0.2 0.3
H 0.522 4.621 0.048 0.8 -0.2 0.0
H 0.462 5.421 1.626 0.3 0.0 0.1
C 0.357 -4.859 -0.124 -0.3 -0.8 0.3
S 0.213 -6.371 0.961 2.4 2.3 2.2
O 1.624 -6.448 1.592 -2.3 -0.4 -1.2
C -0.740 -5.385 2.285 -0.3 -0.5 -0.3
H 1.005 -4.166 0.413 -0.2 -0.1 0.2
H -0.666 -4.496 -0.226 0.1 0.3 -0.3
H 0.818 -5.074 -1.087 -0.2 -0.3 0.1
H -0.300 -4.394 2.397 0.2 -0.1 -0.2
H -0.741 -5.867 3.263 0.6 -0.4 -0.2
H -1.805 -5.304 2.069 0.0 0.1 -0.6
```
Positions in Å, forces in eV/Å.

Löwdin atomic charge list, values in e, 2 entries:
1. C 0.00
2. C -0.31
>>>
Type out the rows further above from the line with "0.1 -0.4" to the end without additions.
H -3.799 -0.053 3.880 0.4 0.1 -0.4
H -4.928 0.030 2.454 0.5 -0.3 -0.2
H -3.037 2.397 3.050 -0.5 0.4 0.1
H -2.205 -0.028 1.500 -0.3 0.0 -0.3
H -1.175 1.102 2.272 -0.1 0.6 0.1
C 0.340 -1.327 0.983 0.8 -0.1 1.3
C 0.548 -0.425 -0.218 -1.4 -1.6 2.9
C 1.692 -0.795 -1.048 0.6 1.5 0.4
O 1.148 -0.336 -2.279 1.0 0.5 -2.2
C -0.197 -0.438 -2.286 0.1 -1.3 -1.0
O -0.888 -0.427 -3.289 0.9 0.4 2.1
O -0.540 -0.735 -1.019 -3.0 0.2 -2.5
H -0.012 -0.788 1.862 0.0 -0.1 -0.1
H 1.268 -1.827 1.261 0.1 0.4 0.1
H -0.313 -2.182 0.809 -0.4 0.4 -0.5
H 0.443 0.641 -0.015 0.7 0.0 0.3
H 2.012 -1.836 -1.090 -0.3 -0.1 0.0
H 2.482 -0.165 -0.638 0.7 -0.1 -0.9
C -4.680 -0.474 -1.784 -0.4 0.3 -0.9
S -4.420 -1.099 -0.084 -2.4 -1.4 -0.7
O -5.801 -1.568 0.432 2.2 1.0 -0.6
C -3.532 -2.672 -0.484 -0.3 1.1 -0.2
H -5.284 -1.078 -2.461 0.1 -0.9 0.5
H -3.770 -0.252 -2.342 0.5 -0.1 0.5
H -5.265 0.446 -1.818 0.2 0.3 0.9
H -2.757 -2.447 -1.217 0.3 0.1 0.3
H -4.211 -3.392 -0.940 -0.2 0.1 0.4
H -3.148 -2.975 0.490 0.1 -0.3 -0.3
C 7.026 1.502 0.398 0.2 -0.4 0.1
S 5.183 1.362 0.348 -0.7 -1.4 0.3
O 4.819 -0.128 0.066 0.9 2.7 0.8
C 4.918 1.652 2.179 0.4 0.1 0.2
H 7.444 0.956 -0.448 -0.4 -0.8 0.3
H 7.332 1.140 1.380 0.2 -0.4 -0.3
H 7.546 2.445 0.233 -1.0 0.7 0.3
H 5.454 0.883 2.735 0.0 -0.2 -0.2
H 3.894 1.698 2.551 -0.3 -0.7 -0.9
H 5.266 2.616 2.551 0.7 0.2 -0.7
C -2.683 0.237 -5.794 -0.1 0.2 0.5
S -2.907 -1.447 -6.559 1.4 1.1 -2.2
O -2.413 -1.334 -8.017 -0.8 -0.2 2.4
C -1.608 -2.340 -5.603 -0.9 0.7 -0.2
H -1.646 0.490 -5.574 0.0 -0.4 -0.1
H -3.269 0.331 -4.879 0.2 -0.6 0.4
H -3.100 1.083 -6.342 0.0 -0.6 -1.0
H -2.058 -2.338 -4.611 0.4 -0.2 0.2
H -0.650 -1.820 -5.627 -0.2 0.0 0.0
H -1.552 -3.347 -6.015 0.0 0.1 0.0
C 1.517 3.419 -2.364 0.2 -0.2 -0.2
S 0.603 4.353 -3.654 0.7 1.3 1.4
O 0.283 5.658 -2.918 0.0 -1.5 -1.0
C -0.898 3.361 -3.634 0.7 -0.2 0.5
H 2.249 4.057 -1.868 -0.2 0.5 -0.3
H 2.110 2.602 -2.774 -0.4 -0.3 -0.2
H 0.819 3.076 -1.600 -0.1 -0.2 -0.1
H -1.247 3.560 -2.621 -0.9 0.2 -0.3
H -0.686 2.292 -3.657 0.3 0.0 -0.3
H -1.497 3.647 -4.499 -0.3 0.1 0.5
C 2.103 -0.474 3.927 0.4 -0.8 -0.1
S 3.643 -1.543 3.922 0.2 -0.8 0.0
O 3.593 -2.593 4.994 -0.4 1.0 0.0
C 3.417 -2.554 2.430 -0.7 1.2 -0.1
H 1.944 0.094 3.010 0.4 -0.2 -0.2
H 2.266 0.256 4.719 -0.1 -0.3 0.2
H 1.235 -1.111 4.096 0.0 0.0 0.3
H 3.296 -1.825 1.630 0.3 -0.2 -0.4
H 2.493 -3.123 2.536 0.2 -0.2 0.2
H 4.286 -3.190 2.263 -0.1 0.2 0.3
C 1.367 3.598 3.661 0.2 0.1 -0.1
S 1.834 3.378 1.865 -2.0 -1.0 0.7
O 1.380 1.931 1.640 0.6 1.3 -0.2
C 0.502 4.454 1.125 -0.3 -0.3 0.5
H 1.775 2.781 4.256 0.6 -0.2 -0.5
H 0.302 3.491 3.869 -0.2 0.4 -0.7
H 1.763 4.521 4.083 -0.1 0.1 -0.2
H -0.449 3.949 1.295 0.1 -0.2 0.3
H 0.522 4.621 0.048 0.8 -0.2 0.0
H 0.462 5.421 1.626 0.3 0.0 0.1
C 0.357 -4.859 -0.124 -0.3 -0.8 0.3
S 0.213 -6.371 0.961 2.4 2.3 2.2
O 1.624 -6.448 1.592 -2.3 -0.4 -1.2
C -0.740 -5.385 2.285 -0.3 -0.5 -0.3
H 1.005 -4.166 0.413 -0.2 -0.1 0.2
H -0.666 -4.496 -0.226 0.1 0.3 -0.3
H 0.818 -5.074 -1.087 -0.2 -0.3 0.1
H -0.300 -4.394 2.397 0.2 -0.1 -0.2
H -0.741 -5.867 3.263 0.6 -0.4 -0.2
H -1.805 -5.304 2.069 0.0 0.1 -0.6
```
Positions in Å, forces in eV/Å.

Löwdin atomic charge list, values in e, 2 entries:
1. C 0.00
2. C -0.31